• File:
┌──
# 1
Computed, not measured: LuGaPdPt after structural relaxation at the PBE level of DFT.

Unit cell a=4.3665 b=4.3665 c=8.9195 alpha=90.00 beta=90.00 gamma=120.00
Element x y z (fractional)
Lu: 0.3333 0.6667 0.2540
Lu: 0.6667 0.3333 0.7460
Ga: 0.0000 0.0000 0.0000
Ga: 0.0000 0.0000 0.5000
Pd: 0.3333 0.6667 0.9175
Pd: 0.6667 0.3333 0.0825
Pt: 0.3333 0.6667 0.5897
Pt: 0.6667 0.3333 0.4103

## Properties
Raw total energy (eV for the cell shown): -45.64

***

# 2
Computed, not measured: Lu2GaSbPd4 after structural relaxation at the PBE level of DFT.

Unit cell a=4.4629 b=4.4629 c=8.9232 alpha=90.00 beta=90.00 gamma=120.00
Element x y z (fractional)
Lu: 0.3333 0.6667 0.2567
Lu: 0.6667 0.3333 0.7433
Ga: 0.0000 0.0000 0.5000
Sb: 0.0000 0.0000 0.0000
Pd: 0.3333 0.6667 0.5789
Pd: 0.3333 0.6667 0.9044
Pd: 0.6667 0.3333 0.0956
Pd: 0.6667 0.3333 0.4211

## Properties
Raw total energy (eV for the cell shown): -44.07

***

# 3
Computed, not measured: TbLuGa2Pd4 after structural relaxation at the PBE level of DFT.

Unit cell a=4.3901 b=4.3901 c=8.9917 alpha=90.00 beta=90.00 gamma=120.00
Element x y z (fractional)
Tb: 0.0000 0.0000 0.0000
Lu: 0.3333 0.6667 0.5000
Ga: 0.6667 0.3333 0.2514
Ga: 0.6667 0.3333 0.7486
Pd: 0.0000 0.0000 0.3366
Pd: 0.0000 0.0000 0.6634
Pd: 0.3333 0.6667 0.1720
Pd: 0.3333 0.6667 0.8280

## Properties
Raw total energy (eV for the cell shown): -43.12

***

# 4
Computed, not measured: PrLuGaTe3 after structural relaxation at the PBE level of DFT.

Unit cell a=7.9545 b=7.9545 c=10.5429 alpha=90.00 beta=90.00 gamma=149.29
Element x y z (fractional)
Pr: 0.2225 0.7775 0.7500
Pr: 0.7775 0.2225 0.2500
Lu: 0.0000 0.0000 0.0000
Lu: 0.0000 0.0000 0.5000
Ga: 0.4729 0.5271 0.2500
Ga: 0.5271 0.4729 0.7500
Te: 0.1159 0.8841 0.2500
Te: 0.3508 0.6492 0.0357
Te: 0.3508 0.6492 0.4643
Te: 0.6492 0.3508 0.5357
Te: 0.6492 0.3508 0.9643
Te: 0.8841 0.1159 0.7500

## Properties
Raw total energy (eV for the cell shown): -54.87

***

# 5
Computed, not measured: LuGaPt2 after structural relaxation at the PBE level of DFT.

Unit cell a=4.6467 b=4.6467 c=4.6467 alpha=60.00 beta=60.00 gamma=60.00
Element x y z (fractional)
Lu: 0.0000 0.0000 0.0000
Ga: 0.7500 0.7500 0.7500
Pt: 0.2500 0.2500 0.2500
Pt: 0.5000 0.5000 0.5000

## Properties
Raw total energy (eV for the cell shown): -22.57

***

# 6
Computed, not measured: LuScGa2Pt4 after structural relaxation at the PBE level of DFT.

Unit cell a=4.3268 b=4.3268 c=8.8304 alpha=90.00 beta=90.00 gamma=120.00
Element x y z (fractional)
Lu: 0.0000 0.0000 0.0000
Sc: 0.6667 0.3333 0.5000
Ga: 0.3333 0.6667 0.2536
Ga: 0.3333 0.6667 0.7464
Pt: 0.0000 0.0000 0.3429
Pt: 0.0000 0.0000 0.6571
Pt: 0.6667 0.3333 0.1652
Pt: 0.6667 0.3333 0.8348

## Properties
Raw total energy (eV for the cell shown): -49.59

***

# 7
Computed, not measured: Lu2GaSnPt4 after structural relaxation at the PBE level of DFT.

Unit cell a=4.4461 b=4.4461 c=8.9763 alpha=90.00 beta=90.00 gamma=120.00
Element x y z (fractional)
Lu: 0.3333 0.6667 0.2430
Lu: 0.6667 0.3333 0.7570
Ga: 0.0000 0.0000 0.0000
Sn: 0.0000 0.0000 0.5000
Pt: 0.3333 0.6667 0.5960
Pt: 0.3333 0.6667 0.9165
Pt: 0.6667 0.3333 0.0835
Pt: 0.6667 0.3333 0.4040

## Properties
Raw total energy (eV for the cell shown): -48.62

***

# 8
Computed, not measured: TmLuGa2Pt4 after structural relaxation at the PBE level of DFT.

Unit cell a=4.3577 b=4.3577 c=8.9874 alpha=90.00 beta=90.00 gamma=120.00
Element x y z (fractional)
Tm: 0.0000 0.0000 0.0000
Lu: 0.6667 0.3333 0.5000
Ga: 0.3333 0.6667 0.2501
Ga: 0.3333 0.6667 0.7499
Pt: 0.0000 0.0000 0.3386
Pt: 0.0000 0.0000 0.6614
Pt: 0.6667 0.3333 0.1634
Pt: 0.6667 0.3333 0.8366

## Properties
Raw total energy (eV for the cell shown): -47.97

***

# 9
Computed, not measured: YLuGa2Pt4 after structural relaxation at the PBE level of DFT.

Unit cell a=4.3710 b=4.3710 c=9.0470 alpha=90.00 beta=90.00 gamma=120.00
Element x y z (fractional)
Y: 0.0000 0.0000 0.0000
Lu: 0.6667 0.3333 0.5000
Ga: 0.3333 0.6667 0.2508
Ga: 0.3333 0.6667 0.7492
└──

• To do:
Please transcribe all of the data further up with every line break kept.

• Response:
# 1
Computed, not measured: LuGaPdPt after structural relaxation at the PBE level of DFT.

Unit cell a=4.3665 b=4.3665 c=8.9195 alpha=90.00 beta=90.00 gamma=120.00
Element x y z (fractional)
Lu: 0.3333 0.6667 0.2540
Lu: 0.6667 0.3333 0.7460
Ga: 0.0000 0.0000 0.0000
Ga: 0.0000 0.0000 0.5000
Pd: 0.3333 0.6667 0.9175
Pd: 0.6667 0.3333 0.0825
Pt: 0.3333 0.6667 0.5897
Pt: 0.6667 0.3333 0.4103

## Properties
Raw total energy (eV for the cell shown): -45.64

***

# 2
Computed, not measured: Lu2GaSbPd4 after structural relaxation at the PBE level of DFT.

Unit cell a=4.4629 b=4.4629 c=8.9232 alpha=90.00 beta=90.00 gamma=120.00
Element x y z (fractional)
Lu: 0.3333 0.6667 0.2567
Lu: 0.6667 0.3333 0.7433
Ga: 0.0000 0.0000 0.5000
Sb: 0.0000 0.0000 0.0000
Pd: 0.3333 0.6667 0.5789
Pd: 0.3333 0.6667 0.9044
Pd: 0.6667 0.3333 0.0956
Pd: 0.6667 0.3333 0.4211

## Properties
Raw total energy (eV for the cell shown): -44.07

***

# 3
Computed, not measured: TbLuGa2Pd4 after structural relaxation at the PBE level of DFT.

Unit cell a=4.3901 b=4.3901 c=8.9917 alpha=90.00 beta=90.00 gamma=120.00
Element x y z (fractional)
Tb: 0.0000 0.0000 0.0000
Lu: 0.3333 0.6667 0.5000
Ga: 0.6667 0.3333 0.2514
Ga: 0.6667 0.3333 0.7486
Pd: 0.0000 0.0000 0.3366
Pd: 0.0000 0.0000 0.6634
Pd: 0.3333 0.6667 0.1720
Pd: 0.3333 0.6667 0.8280

## Properties
Raw total energy (eV for the cell shown): -43.12

***

# 4
Computed, not measured: PrLuGaTe3 after structural relaxation at the PBE level of DFT.

Unit cell a=7.9545 b=7.9545 c=10.5429 alpha=90.00 beta=90.00 gamma=149.29
Element x y z (fractional)
Pr: 0.2225 0.7775 0.7500
Pr: 0.7775 0.2225 0.2500
Lu: 0.0000 0.0000 0.0000
Lu: 0.0000 0.0000 0.5000
Ga: 0.4729 0.5271 0.2500
Ga: 0.5271 0.4729 0.7500
Te: 0.1159 0.8841 0.2500
Te: 0.3508 0.6492 0.0357
Te: 0.3508 0.6492 0.4643
Te: 0.6492 0.3508 0.5357
Te: 0.6492 0.3508 0.9643
Te: 0.8841 0.1159 0.7500

## Properties
Raw total energy (eV for the cell shown): -54.87

***

# 5
Computed, not measured: LuGaPt2 after structural relaxation at the PBE level of DFT.

Unit cell a=4.6467 b=4.6467 c=4.6467 alpha=60.00 beta=60.00 gamma=60.00
Element x y z (fractional)
Lu: 0.0000 0.0000 0.0000
Ga: 0.7500 0.7500 0.7500
Pt: 0.2500 0.2500 0.2500
Pt: 0.5000 0.5000 0.5000

## Properties
Raw total energy (eV for the cell shown): -22.57

***

# 6
Computed, not measured: LuScGa2Pt4 after structural relaxation at the PBE level of DFT.

Unit cell a=4.3268 b=4.3268 c=8.8304 alpha=90.00 beta=90.00 gamma=120.00
Element x y z (fractional)
Lu: 0.0000 0.0000 0.0000
Sc: 0.6667 0.3333 0.5000
Ga: 0.3333 0.6667 0.2536
Ga: 0.3333 0.6667 0.7464
Pt: 0.0000 0.0000 0.3429
Pt: 0.0000 0.0000 0.6571
Pt: 0.6667 0.3333 0.1652
Pt: 0.6667 0.3333 0.8348

## Properties
Raw total energy (eV for the cell shown): -49.59

***

# 7
Computed, not measured: Lu2GaSnPt4 after structural relaxation at the PBE level of DFT.

Unit cell a=4.4461 b=4.4461 c=8.9763 alpha=90.00 beta=90.00 gamma=120.00
Element x y z (fractional)
Lu: 0.3333 0.6667 0.2430
Lu: 0.6667 0.3333 0.7570
Ga: 0.0000 0.0000 0.0000
Sn: 0.0000 0.0000 0.5000
Pt: 0.3333 0.6667 0.5960
Pt: 0.3333 0.6667 0.9165
Pt: 0.6667 0.3333 0.0835
Pt: 0.6667 0.3333 0.4040

## Properties
Raw total energy (eV for the cell shown): -48.62

***

# 8
Computed, not measured: TmLuGa2Pt4 after structural relaxation at the PBE level of DFT.

Unit cell a=4.3577 b=4.3577 c=8.9874 alpha=90.00 beta=90.00 gamma=120.00
Element x y z (fractional)
Tm: 0.0000 0.0000 0.0000
Lu: 0.6667 0.3333 0.5000
Ga: 0.3333 0.6667 0.2501
Ga: 0.3333 0.6667 0.7499
Pt: 0.0000 0.0000 0.3386
Pt: 0.0000 0.0000 0.6614
Pt: 0.6667 0.3333 0.1634
Pt: 0.6667 0.3333 0.8366

## Properties
Raw total energy (eV for the cell shown): -47.97

***

# 9
Computed, not measured: YLuGa2Pt4 after structural relaxation at the PBE level of DFT.

Unit cell a=4.3710 b=4.3710 c=9.0470 alpha=90.00 beta=90.00 gamma=120.00
Element x y z (fractional)
Y: 0.0000 0.0000 0.0000
Lu: 0.6667 0.3333 0.5000
Ga: 0.3333 0.6667 0.2508
Ga: 0.3333 0.6667 0.7492